[Assignment]
Next, transcribe all of the rows underneath verbatim.

[Listing]
# 1
For Pr2USiRu4, DFT lattice parameters and positions (GGA-PBE) gives the simulated X-ray diffraction stick pattern in this record (Cu Kα, 1.54184 Å).

Structural model:
```
data_Pr2USiRu4
_cell_length_a 5.8241
_cell_length_b 12.5143
_cell_length_c 18.1375
_cell_angle_alpha 90.00
_cell_angle_beta 90.00
_cell_angle_gamma 90.00
_space_group_name_H-M_alt 'F d d d'
_space_group_IT_number 70
loop_
_space_group_symop_operation_xyz
'x,y,z'
'-x,-y,-z'
'-x+1/4,-y+1/4,z'
'x+1/4,y+1/4,-z'
'x,-y+1/4,-z+1/4'
'-x,y+1/4,z+1/4'
'-x+1/4,y,-z+1/4'
'x+1/4,-y,z+1/4'
'x,y+1/2,z+1/2'
'-x,-y+1/2,-z+1/2'
'-x+1/4,-y+3/4,z+1/2'
'x+1/4,y+3/4,-z+1/2'
'x,-y+3/4,-z+3/4'
'-x,y+3/4,z+3/4'
'-x+1/4,y+1/2,-z+3/4'
'x+1/4,-y+1/2,z+3/4'
'x+1/2,y,z+1/2'
'-x+1/2,-y,-z+1/2'
'-x+3/4,-y+1/4,z+1/2'
'x+3/4,y+1/4,-z+1/2'
'x+1/2,-y+1/4,-z+3/4'
'-x+1/2,y+1/4,z+3/4'
'-x+3/4,y,-z+3/4'
'x+3/4,-y,z+3/4'
'x+1/2,y+1/2,z'
'-x+1/2,-y+1/2,-z'
'-x+3/4,-y+3/4,z'
'x+3/4,y+3/4,-z'
'x+1/2,-y+3/4,-z+1/4'
'-x+1/2,y+3/4,z+1/4'
'-x+3/4,y+1/2,-z+1/4'
'x+3/4,-y+1/2,z+1/4'
loop_
_atom_site_label
_atom_site_type_symbol
_atom_site_fract_x
_atom_site_fract_y
_atom_site_fract_z
Pr1 Pr 0.1250 0.1250 0.2980
U1 U 0.1250 0.1250 0.6250
Si1 Si 0.1250 0.1250 0.1250
Ru1 Ru 0.1156 0.0071 0.8124
```

Principal peaks in the range 2θ from 5° to 70°, sorted by position:
2theta, I_rel, (hkl)
17.49, 19, 1 1 1
29.88, 18, 1 1 5
30.22, 100, 1 3 3
32.91, 48, 0 2 6
33.96, 47, 2 2 0
42.04, 52, 1 5 3
43.13, 50, 2 0 6
43.62, 20, 2 4 2
54.28, 18, 3 3 3
62.46, 15, 3 5 3



# 2
For Pr2Sm3Ru2, DFT lattice parameters and positions (GGA-PBE) gives the simulated X-ray diffraction stick pattern in this record (Cu Kα, 1.54184 Å).

Structural model:
```
data_Pr2Sm3Ru2
_cell_length_a 12.3560
_cell_length_b 3.9301
_cell_length_c 9.0253
_cell_angle_alpha 90.00
_cell_angle_beta 115.34
_cell_angle_gamma 90.00
_space_group_name_H-M_alt 'C 1 2/m 1'
_space_group_IT_number 12
loop_
_space_group_symop_operation_xyz
'x,y,z'
'-x,-y,-z'
'-x,y,-z'
'x,-y,z'
'x+1/2,y+1/2,z'
'-x+1/2,-y+1/2,-z'
'-x+1/2,y+1/2,-z'
'x+1/2,-y+1/2,z'
loop_
_atom_site_label
_atom_site_type_symbol
_atom_site_fract_x
_atom_site_fract_y
_atom_site_fract_z
Pr1 Pr 0.1669 0.0000 0.3044
Sm1 Sm 0.0000 0.5000 0.5000
Sm2 Sm 0.1206 0.5000 0.9240
Ru1 Ru 0.1795 0.0000 0.7352
```

Principal peaks in the range 2θ from 5° to 70°, sorted by position:
2theta, I_rel, (hkl)
29.76, 55, 2 0 -3
30.19, 58, 1 1 -2
31.47, 100, 3 1 -1
32.25, 80, 2 0 2
33.15, 49, 3 1 0
33.61, 75, 3 1 -2
34.94, 59, 1 1 2
38.17, 60, 1 1 -3
46.20, 47, 0 2 0
57.46, 31, 2 2 2

* * * * *

1.
Ce6In5Pd12: computed X-ray diffraction stick pattern (Cu Ka), based on a PBE-relaxed structure.
Peak positions follow from Bragg's law for the DFT cell and can differ from measured ones.

Cell lengths 8.2272, 8.2272, 16.3045 Å; angles 90.00, 90.00, 120.00 degrees
Space group P6_3/mcm (No. 193)
Unique sites:
Ce 0.0000 0.2772 0.1220 [12 per cell]
In 0.0000 0.3668 0.7500 [6 per cell]
In 0.3333 0.6667 0.0000 [4 per cell]
Pd 0.0000 0.0000 0.0000 [2 per cell]
Pd 0.0000 0.0000 0.2500 [2 per cell]
Pd 0.0000 0.3811 0.5717 [12 per cell]
Pd 0.3333 0.6667 0.1667 [8 per cell]

Largest 10 diffraction maxima, in order of rising 2θ, 2θ = 10–90°:
2θ = 30.88°, I = 17, (1 1 4); 2θ = 33.40°, I = 14, (2 0 4); 2θ = 33.73°, I = 27, (2 1 1); 2θ = 35.12°, I = 60, (1 1 5); 2θ = 37.26°, I = 17, (2 1 3); 2θ = 37.88°, I = 100, (3 0 0); 2θ = 39.75°, I = 46, (1 1 6); 2θ = 56.08°, I = 13, (2 2 6); 2θ = 67.12°, I = 13, (1 1 11); 2θ = 69.68°, I = 12, (4 1 6)

2.
CeInPd6: computed X-ray diffraction stick pattern (Cu Ka), based on a PBE-relaxed structure.
Peak positions follow from Bragg's law for the DFT cell and can differ from measured ones.

Cell lengths 5.7986, 5.7986, 4.7345 Å; angles 90.00, 90.00, 120.00 degrees
Space group P-6m2 (No. 187)
Unique sites:
Ce 0.0000 0.0000 0.0000 [1 per cell]
In 0.3333 0.6667 0.5000 [1 per cell]
Pd 0.3401 0.1701 0.5000 [3 per cell]
Pd 0.5010 0.0019 0.0000 [3 per cell]

[Outcome]
# 1
For Pr2USiRu4, DFT lattice parameters and positions (GGA-PBE) gives the simulated X-ray diffraction stick pattern in this record (Cu Kα, 1.54184 Å).

Structural model:
```
data_Pr2USiRu4
_cell_length_a 5.8241
_cell_length_b 12.5143
_cell_length_c 18.1375
_cell_angle_alpha 90.00
_cell_angle_beta 90.00
_cell_angle_gamma 90.00
_space_group_name_H-M_alt 'F d d d'
_space_group_IT_number 70
loop_
_space_group_symop_operation_xyz
'x,y,z'
'-x,-y,-z'
'-x+1/4,-y+1/4,z'
'x+1/4,y+1/4,-z'
'x,-y+1/4,-z+1/4'
'-x,y+1/4,z+1/4'
'-x+1/4,y,-z+1/4'
'x+1/4,-y,z+1/4'
'x,y+1/2,z+1/2'
'-x,-y+1/2,-z+1/2'
'-x+1/4,-y+3/4,z+1/2'
'x+1/4,y+3/4,-z+1/2'
'x,-y+3/4,-z+3/4'
'-x,y+3/4,z+3/4'
'-x+1/4,y+1/2,-z+3/4'
'x+1/4,-y+1/2,z+3/4'
'x+1/2,y,z+1/2'
'-x+1/2,-y,-z+1/2'
'-x+3/4,-y+1/4,z+1/2'
'x+3/4,y+1/4,-z+1/2'
'x+1/2,-y+1/4,-z+3/4'
'-x+1/2,y+1/4,z+3/4'
'-x+3/4,y,-z+3/4'
'x+3/4,-y,z+3/4'
'x+1/2,y+1/2,z'
'-x+1/2,-y+1/2,-z'
'-x+3/4,-y+3/4,z'
'x+3/4,y+3/4,-z'
'x+1/2,-y+3/4,-z+1/4'
'-x+1/2,y+3/4,z+1/4'
'-x+3/4,y+1/2,-z+1/4'
'x+3/4,-y+1/2,z+1/4'
loop_
_atom_site_label
_atom_site_type_symbol
_atom_site_fract_x
_atom_site_fract_y
_atom_site_fract_z
Pr1 Pr 0.1250 0.1250 0.2980
U1 U 0.1250 0.1250 0.6250
Si1 Si 0.1250 0.1250 0.1250
Ru1 Ru 0.1156 0.0071 0.8124
```

Principal peaks in the range 2θ from 5° to 70°, sorted by position:
2theta, I_rel, (hkl)
17.49, 19, 1 1 1
29.88, 18, 1 1 5
30.22, 100, 1 3 3
32.91, 48, 0 2 6
33.96, 47, 2 2 0
42.04, 52, 1 5 3
43.13, 50, 2 0 6
43.62, 20, 2 4 2
54.28, 18, 3 3 3
62.46, 15, 3 5 3



# 2
For Pr2Sm3Ru2, DFT lattice parameters and positions (GGA-PBE) gives the simulated X-ray diffraction stick pattern in this record (Cu Kα, 1.54184 Å).

Structural model:
```
data_Pr2Sm3Ru2
_cell_length_a 12.3560
_cell_length_b 3.9301
_cell_length_c 9.0253
_cell_angle_alpha 90.00
_cell_angle_beta 115.34
_cell_angle_gamma 90.00
_space_group_name_H-M_alt 'C 1 2/m 1'
_space_group_IT_number 12
loop_
_space_group_symop_operation_xyz
'x,y,z'
'-x,-y,-z'
'-x,y,-z'
'x,-y,z'
'x+1/2,y+1/2,z'
'-x+1/2,-y+1/2,-z'
'-x+1/2,y+1/2,-z'
'x+1/2,-y+1/2,z'
loop_
_atom_site_label
_atom_site_type_symbol
_atom_site_fract_x
_atom_site_fract_y
_atom_site_fract_z
Pr1 Pr 0.1669 0.0000 0.3044
Sm1 Sm 0.0000 0.5000 0.5000
Sm2 Sm 0.1206 0.5000 0.9240
Ru1 Ru 0.1795 0.0000 0.7352
```

Principal peaks in the range 2θ from 5° to 70°, sorted by position:
2theta, I_rel, (hkl)
29.76, 55, 2 0 -3
30.19, 58, 1 1 -2
31.47, 100, 3 1 -1
32.25, 80, 2 0 2
33.15, 49, 3 1 0
33.61, 75, 3 1 -2
34.94, 59, 1 1 2
38.17, 60, 1 1 -3
46.20, 47, 0 2 0
57.46, 31, 2 2 2

* * * * *

1.
Ce6In5Pd12: computed X-ray diffraction stick pattern (Cu Ka), based on a PBE-relaxed structure.
Peak positions follow from Bragg's law for the DFT cell and can differ from measured ones.

Cell lengths 8.2272, 8.2272, 16.3045 Å; angles 90.00, 90.00, 120.00 degrees
Space group P6_3/mcm (No. 193)
Unique sites:
Ce 0.0000 0.2772 0.1220 [12 per cell]
In 0.0000 0.3668 0.7500 [6 per cell]
In 0.3333 0.6667 0.0000 [4 per cell]
Pd 0.0000 0.0000 0.0000 [2 per cell]
Pd 0.0000 0.0000 0.2500 [2 per cell]
Pd 0.0000 0.3811 0.5717 [12 per cell]
Pd 0.3333 0.6667 0.1667 [8 per cell]

Largest 10 diffraction maxima, in order of rising 2θ, 2θ = 10–90°:
2θ = 30.88°, I = 17, (1 1 4); 2θ = 33.40°, I = 14, (2 0 4); 2θ = 33.73°, I = 27, (2 1 1); 2θ = 35.12°, I = 60, (1 1 5); 2θ = 37.26°, I = 17, (2 1 3); 2θ = 37.88°, I = 100, (3 0 0); 2θ = 39.75°, I = 46, (1 1 6); 2θ = 56.08°, I = 13, (2 2 6); 2θ = 67.12°, I = 13, (1 1 11); 2θ = 69.68°, I = 12, (4 1 6)

2.
CeInPd6: computed X-ray diffraction stick pattern (Cu Ka), based on a PBE-relaxed structure.
Peak positions follow from Bragg's law for the DFT cell and can differ from measured ones.

Cell lengths 5.7986, 5.7986, 4.7345 Å; angles 90.00, 90.00, 120.00 degrees
Space group P-6m2 (No. 187)
Unique sites:
Ce 0.0000 0.0000 0.0000 [1 per cell]
In 0.3333 0.6667 0.5000 [1 per cell]
Pd 0.3401 0.1701 0.5000 [3 per cell]
Pd 0.5010 0.0019 0.0000 [3 per cell]